Exercise
Now print the entries below without additions.

Source
~~~
# 1
BaMgAs2Pd5: calculated PXRD pattern (Cu Ka), based on DFT lattice parameters and positions (PBE).
Intensities are scaled so that the largest is 1000.

Structural model:
```
data_BaMgAs2Pd5
_chemical_formula_sum 'Ba1 Mg1 As2 Pd5'
_space_group_name_H-M_alt 'P 4/m m m'
_space_group_IT_number 123
_space_group_name_Hall '-P 4 2'
_cell_length_a 4.593
_cell_length_b 4.593
_cell_length_c 9.322
_cell_angle_alpha 90.00
_cell_angle_beta 90.00
_cell_angle_gamma 90.00
loop_
_atom_site_label
_atom_site_type_symbol
_atom_site_fract_x
_atom_site_fract_y
_atom_site_fract_z
_atom_site_occupancy
Ba1 Ba 0.000 0.000 0.000 1
Mg1 Mg 0.000 0.000 0.500 1
As1 As 0.500 0.500 0.258 1
Pd1 Pd 0.000 0.500 0.346 1
Pd2 Pd 0.500 0.500 0.000 1
```

Main lines, by intensity (10° ≤ 2θ ≤ 90°):
2θ (°), I (rel.)
29.1, 1000
39.2, 790
48.0, 659
28.7, 547
49.3, 480
77.4, 437
56.7, 265
27.3, 238

=====

# 2
MnZn5I12: calculated PXRD pattern (Cu Ka), based on DFT lattice parameters and positions (PBE).
Intensities are scaled so that the largest is 1000.

Structural model:
```
data_MnZn5I12
_chemical_formula_sum 'Mn1 Zn5 I12'
_space_group_name_H-M_alt 'P -1'
_space_group_IT_number 2
_space_group_name_Hall '-P 1'
_cell_length_a 4.097
_cell_length_b 10.886
_cell_length_c 15.404
_cell_angle_alpha 93.85
_cell_angle_beta 97.41
_cell_angle_gamma 100.83
loop_
_atom_site_label
_atom_site_type_symbol
_atom_site_fract_x
_atom_site_fract_y
_atom_site_fract_z
_atom_site_occupancy
Mn1 Mn 0.000 0.000 0.000 1
Zn1 Zn 0.167 0.333 0.500 1
Zn2 Zn 0.331 0.665 0.999 1
Zn3 Zn 0.500 0.000 0.500 1
I1 I 0.005 0.904 0.607 1
I2 I 0.163 0.429 0.893 1
I3 I 0.173 0.239 0.108 1
I4 I 0.329 0.763 0.393 1
I5 I 0.338 0.571 0.607 1
I6 I 0.496 0.098 0.891 1
```

Main lines, by intensity (10° ≤ 2θ ≤ 90°):
2θ (°), I (rel.)
11.6, 1000
28.7, 667
28.6, 633
31.8, 602
23.4, 323
26.7, 308
44.6, 305
27.0, 296

=====

# 3
Zr7Tc6: calculated PXRD pattern (Cu Ka), based on DFT lattice parameters and positions (PBE).
Intensities are scaled so that the largest is 1000.

Structural model:
```
data_Zr7Tc6
_chemical_formula_sum 'Zr21 Tc18'
_space_group_name_H-M_alt 'R -3 m'
_space_group_IT_number 166
_space_group_name_Hall '-R 3 2"'
_cell_length_a 5.7883
_cell_length_b 5.7883
_cell_length_c 26.4235
_cell_angle_alpha 90.00
_cell_angle_beta 90.00
_cell_angle_gamma 120.00
loop_
_atom_site_label
_atom_site_type_symbol
_atom_site_fract_x
_atom_site_fract_y
_atom_site_fract_z
_atom_site_occupancy
Zr1 Zr 0.0000 0.0000 0.0000 1
Zr2 Zr 0.0057 0.5028 0.4184 1
Tc1 Tc 0.0000 0.0000 0.1671 1
Tc2 Tc 0.0000 0.0000 0.3570 1
Tc3 Tc 0.0000 0.0000 0.4459 1
```

Main lines, by intensity (10° ≤ 2θ ≤ 90°):
2θ (°), I (rel.)
37.2, 1000
39.8, 832
30.9, 819
36.0, 763
41.7, 640
64.4, 567
43.3, 492
62.4, 402

=====

# 4
PrCd6Au: calculated PXRD pattern (Cu Ka), based on DFT lattice parameters and positions (PBE).
Intensities are scaled so that the largest is 1000.

Structural model:
```
data_PrCd6Au
_chemical_formula_sum 'Pr1 Cd6 Au1'
_space_group_name_H-M_alt 'P 1 m 1'
_space_group_IT_number 6
_space_group_name_Hall 'P -2y'
_cell_length_a 5.722
_cell_length_b 4.907
_cell_length_c 6.863
_cell_angle_alpha 90.00
_cell_angle_beta 101.06
_cell_angle_gamma 90.00
loop_
_atom_site_label
_atom_site_type_symbol
_atom_site_fract_x
_atom_site_fract_y
_atom_site_fract_z
_atom_site_occupancy
Pr1 Pr 0.000 0.000 0.000 1
Cd1 Cd 0.034 0.000 0.505 1
Cd2 Cd 0.196 0.500 0.301 1
Cd3 Cd 0.219 0.500 0.777 1
Cd4 Cd 0.522 0.000 0.354 1
Cd5 Cd 0.646 0.500 0.122 1
Cd6 Cd 0.703 0.500 0.656 1
Au1 Au 0.478 0.000 0.806 1
```

Main lines, by intensity (10° ≤ 2θ ≤ 90°):
2θ (°), I (rel.)
36.9, 1000
33.7, 986
36.6, 653
32.2, 385
33.6, 370
38.4, 349
50.5, 243
42.0, 180

* * * * *

# 1
Calculated X-ray powder pattern of Cd2W for Cu Kα (weighted mean of Kα1 and Kα2), from a PBE-relaxed structure.

```
3
Lattice="2.943 0.000 0.000 -1.471 2.549 0.000 0.000 0.000 7.564" Properties=species:S:1:pos:R:3 pbc="T T T"
Cd 0.000 1.699 1.342
Cd 1.471 0.850 6.222
W 0.000 0.000 3.782
```
~~~

Completed
# 1
BaMgAs2Pd5: calculated PXRD pattern (Cu Ka), based on DFT lattice parameters and positions (PBE).
Intensities are scaled so that the largest is 1000.

Structural model:
```
data_BaMgAs2Pd5
_chemical_formula_sum 'Ba1 Mg1 As2 Pd5'
_space_group_name_H-M_alt 'P 4/m m m'
_space_group_IT_number 123
_space_group_name_Hall '-P 4 2'
_cell_length_a 4.593
_cell_length_b 4.593
_cell_length_c 9.322
_cell_angle_alpha 90.00
_cell_angle_beta 90.00
_cell_angle_gamma 90.00
loop_
_atom_site_label
_atom_site_type_symbol
_atom_site_fract_x
_atom_site_fract_y
_atom_site_fract_z
_atom_site_occupancy
Ba1 Ba 0.000 0.000 0.000 1
Mg1 Mg 0.000 0.000 0.500 1
As1 As 0.500 0.500 0.258 1
Pd1 Pd 0.000 0.500 0.346 1
Pd2 Pd 0.500 0.500 0.000 1
```

Main lines, by intensity (10° ≤ 2θ ≤ 90°):
2θ (°), I (rel.)
29.1, 1000
39.2, 790
48.0, 659
28.7, 547
49.3, 480
77.4, 437
56.7, 265
27.3, 238

=====

# 2
MnZn5I12: calculated PXRD pattern (Cu Ka), based on DFT lattice parameters and positions (PBE).
Intensities are scaled so that the largest is 1000.

Structural model:
```
data_MnZn5I12
_chemical_formula_sum 'Mn1 Zn5 I12'
_space_group_name_H-M_alt 'P -1'
_space_group_IT_number 2
_space_group_name_Hall '-P 1'
_cell_length_a 4.097
_cell_length_b 10.886
_cell_length_c 15.404
_cell_angle_alpha 93.85
_cell_angle_beta 97.41
_cell_angle_gamma 100.83
loop_
_atom_site_label
_atom_site_type_symbol
_atom_site_fract_x
_atom_site_fract_y
_atom_site_fract_z
_atom_site_occupancy
Mn1 Mn 0.000 0.000 0.000 1
Zn1 Zn 0.167 0.333 0.500 1
Zn2 Zn 0.331 0.665 0.999 1
Zn3 Zn 0.500 0.000 0.500 1
I1 I 0.005 0.904 0.607 1
I2 I 0.163 0.429 0.893 1
I3 I 0.173 0.239 0.108 1
I4 I 0.329 0.763 0.393 1
I5 I 0.338 0.571 0.607 1
I6 I 0.496 0.098 0.891 1
```

Main lines, by intensity (10° ≤ 2θ ≤ 90°):
2θ (°), I (rel.)
11.6, 1000
28.7, 667
28.6, 633
31.8, 602
23.4, 323
26.7, 308
44.6, 305
27.0, 296

=====

# 3
Zr7Tc6: calculated PXRD pattern (Cu Ka), based on DFT lattice parameters and positions (PBE).
Intensities are scaled so that the largest is 1000.

Structural model:
```
data_Zr7Tc6
_chemical_formula_sum 'Zr21 Tc18'
_space_group_name_H-M_alt 'R -3 m'
_space_group_IT_number 166
_space_group_name_Hall '-R 3 2"'
_cell_length_a 5.7883
_cell_length_b 5.7883
_cell_length_c 26.4235
_cell_angle_alpha 90.00
_cell_angle_beta 90.00
_cell_angle_gamma 120.00
loop_
_atom_site_label
_atom_site_type_symbol
_atom_site_fract_x
_atom_site_fract_y
_atom_site_fract_z
_atom_site_occupancy
Zr1 Zr 0.0000 0.0000 0.0000 1
Zr2 Zr 0.0057 0.5028 0.4184 1
Tc1 Tc 0.0000 0.0000 0.1671 1
Tc2 Tc 0.0000 0.0000 0.3570 1
Tc3 Tc 0.0000 0.0000 0.4459 1
```

Main lines, by intensity (10° ≤ 2θ ≤ 90°):
2θ (°), I (rel.)
37.2, 1000
39.8, 832
30.9, 819
36.0, 763
41.7, 640
64.4, 567
43.3, 492
62.4, 402

=====

# 4
PrCd6Au: calculated PXRD pattern (Cu Ka), based on DFT lattice parameters and positions (PBE).
Intensities are scaled so that the largest is 1000.

Structural model:
```
data_PrCd6Au
_chemical_formula_sum 'Pr1 Cd6 Au1'
_space_group_name_H-M_alt 'P 1 m 1'
_space_group_IT_number 6
_space_group_name_Hall 'P -2y'
_cell_length_a 5.722
_cell_length_b 4.907
_cell_length_c 6.863
_cell_angle_alpha 90.00
_cell_angle_beta 101.06
_cell_angle_gamma 90.00
loop_
_atom_site_label
_atom_site_type_symbol
_atom_site_fract_x
_atom_site_fract_y
_atom_site_fract_z
_atom_site_occupancy
Pr1 Pr 0.000 0.000 0.000 1
Cd1 Cd 0.034 0.000 0.505 1
Cd2 Cd 0.196 0.500 0.301 1
Cd3 Cd 0.219 0.500 0.777 1
Cd4 Cd 0.522 0.000 0.354 1
Cd5 Cd 0.646 0.500 0.122 1
Cd6 Cd 0.703 0.500 0.656 1
Au1 Au 0.478 0.000 0.806 1
```

Main lines, by intensity (10° ≤ 2θ ≤ 90°):
2θ (°), I (rel.)
36.9, 1000
33.7, 986
36.6, 653
32.2, 385
33.6, 370
38.4, 349
50.5, 243
42.0, 180

* * * * *

# 1
Calculated X-ray powder pattern of Cd2W for Cu Kα (weighted mean of Kα1 and Kα2), from a PBE-relaxed structure.

```
3
Lattice="2.943 0.000 0.000 -1.471 2.549 0.000 0.000 0.000 7.564" Properties=species:S:1:pos:R:3 pbc="T T T"
Cd 0.000 1.699 1.342
Cd 1.471 0.850 6.222
W 0.000 0.000 3.782
```